Source
********
No. 1
{
  "formula": "C32H54F6N3O24",
  "method": "wB97M-V/def2-TZVPD",
  "symbols": ["C", "N", "C", "C", "C", "C", "O", "H", "H", "H", "H", "H", "H", "H", "H", "H", "H", "H", "H", "H", "H", "C", "O", "O", "O", "C", "C", "C", "O", "C", "N", "H", "H", "H", "H", "H", "H", "H", "H", "H", "H", "H", "C", "C", "C", "O", "C", "N", "H", "H", "H", "H", "H", "H", "H", "H", "H", "H", "H", "C", "C", "O", "C", "O", "O", "F", "H", "H", "H", "C", "C", "O", "C", "O", "O", "F", "H", "H", "H", "C", "C", "O", "C", "O", "O", "F", "H", "H", "H", "C", "C", "O", "C", "O", "O", "F", "H", "H", "H", "C", "C", "O", "C", "O", "O", "F", "H", "H", "H", "C", "C", "O", "C", "O", "O", "F", "H", "H", "H"],
  "xyz": [[-1.416, 1.818, -2.247], [-0.715, 3.203, -2.059], [-1.800, 4.215, -1.607], [0.141, 2.861, -0.832], [0.111, 3.847, -3.236], [-0.729, 4.118, -4.476], [-1.244, 3.000, -5.140], [-1.969, 1.526, -1.354], [-0.743, 1.013, -2.541], [-2.146, 2.003, -3.034], [-1.436, 5.240, -1.666], [-2.174, 4.061, -0.595], [-2.589, 4.161, -2.357], [-0.434, 2.426, -0.014], [0.704, 3.759, -0.578], [0.878, 2.126, -1.153], [0.959, 3.176, -3.375], [0.531, 4.783, -2.869], [-0.016, 4.501, -5.206], [-1.515, 4.863, -4.353], [-0.805, 3.055, -5.992], [0.192, -0.037, 0.472], [0.402, -1.209, 0.066], [-0.083, 0.908, -0.280], [0.331, 0.194, 1.691], [-2.335, 2.063, 3.223], [-1.901, 1.499, 1.839], [-2.785, 2.072, 0.682], [-4.246, 1.836, 0.902], [-4.580, 0.457, 0.934], [-0.561, 2.034, 1.561], [-2.335, 3.153, 3.210], [-1.678, 1.745, 4.032], [-3.309, 1.627, 3.444], [-1.850, 0.411, 1.792], [-2.590, 1.783, -0.351], [-2.776, 3.162, 0.708], [-4.049, -0.221, 1.602], [-4.427, 0.087, -0.080], [-5.622, 0.312, 1.219], [-0.345, 1.797, 0.603], [0.127, 1.381, 1.909], [2.675, -3.359, -1.414], [1.204, -3.415, -1.207], [0.607, -4.760, -1.643], [0.872, -5.081, -3.028], [-0.040, -4.460, -3.895], [0.828, -3.036, 0.132], [2.760, -3.196, -2.488], [3.118, -4.327, -1.180], [3.123, -2.458, -0.992], [0.744, -2.594, -1.758], [-0.464, -4.793, -1.443], [1.258, -5.327, -0.979], [-1.071, -4.713, -3.646], [0.020, -4.709, -4.954], [0.094, -3.380, -3.843], [0.990, -2.041, 0.197], [-0.175, -3.121, 0.218], [-1.228, -0.888, 3.038], [-0.523, -2.174, 2.530], [-1.657, -3.074, 2.400], [-2.736, -2.625, 3.077], [-3.796, -3.213, 3.155], [-2.527, -1.329, 3.488], [0.289, -2.737, 3.461], [-1.225, -0.219, 2.178], [-0.763, -0.414, 3.902], [0.102, -2.024, 1.650], [2.758, -1.775, 0.698], [1.919, -1.996, 1.922], [2.888, -1.787, 2.925], [4.101, -2.029, 2.455], [5.152, -1.795, 3.033], [4.044, -2.143, 1.142], [1.504, -3.268, 2.023], [2.702, -0.751, 0.327], [2.381, -2.357, -0.142], [1.055, -1.337, 1.993], [0.929, 1.128, 3.726], [2.171, 0.402, 3.354], [2.447, -0.269, 4.571], [1.290, -0.569, 5.163], [1.189, -1.169, 6.168], [0.331, 0.145, 4.575], [3.128, 1.186, 3.069], [0.389, 1.528, 2.867], [1.212, 2.007, 4.305], [1.914, -0.260, 2.527], [0.127, -0.719, -2.420], [1.492, -0.600, -1.993], [1.962, 0.559, -2.712], [1.112, 0.868, -3.680], [1.232, 1.837, -4.491], [0.143, 0.045, -3.638], [2.244, -1.631, -2.325], [-0.526, -0.253, -1.683], [-0.241, -1.745, -2.452], [1.495, -0.428, -0.916], [-2.239, -0.479, -1.003], [-2.151, -1.493, 0.144], [-1.854, -2.757, -0.389], [-1.793, -2.621, -1.767], [-1.498, -3.516, -2.525], [-2.167, -1.358, -2.144], [-3.308, -1.513, 0.767], [-1.367, 0.170, -1.091], [-3.123, 0.144, -1.140], [-1.359, -1.217, 0.841], [1.835, 2.466, 0.346], [2.456, 1.066, 0.481], [3.615, 1.383, 1.275], [3.862, 2.762, 1.180], [4.797, 3.466, 1.608], [2.860, 3.348, 0.730], [2.922, 0.543, -0.697], [1.135, 2.639, 1.163], [1.313, 2.499, -0.610], [1.867, 0.301, 0.987]],
********

Activity
Retype everything further up without additions.

Outcome
No. 1
{
  "formula": "C32H54F6N3O24",
  "method": "wB97M-V/def2-TZVPD",
  "symbols": ["C", "N", "C", "C", "C", "C", "O", "H", "H", "H", "H", "H", "H", "H", "H", "H", "H", "H", "H", "H", "H", "C", "O", "O", "O", "C", "C", "C", "O", "C", "N", "H", "H", "H", "H", "H", "H", "H", "H", "H", "H", "H", "C", "C", "C", "O", "C", "N", "H", "H", "H", "H", "H", "H", "H", "H", "H", "H", "H", "C", "C", "O", "C", "O", "O", "F", "H", "H", "H", "C", "C", "O", "C", "O", "O", "F", "H", "H", "H", "C", "C", "O", "C", "O", "O", "F", "H", "H", "H", "C", "C", "O", "C", "O", "O", "F", "H", "H", "H", "C", "C", "O", "C", "O", "O", "F", "H", "H", "H", "C", "C", "O", "C", "O", "O", "F", "H", "H", "H"],
  "xyz": [[-1.416, 1.818, -2.247], [-0.715, 3.203, -2.059], [-1.800, 4.215, -1.607], [0.141, 2.861, -0.832], [0.111, 3.847, -3.236], [-0.729, 4.118, -4.476], [-1.244, 3.000, -5.140], [-1.969, 1.526, -1.354], [-0.743, 1.013, -2.541], [-2.146, 2.003, -3.034], [-1.436, 5.240, -1.666], [-2.174, 4.061, -0.595], [-2.589, 4.161, -2.357], [-0.434, 2.426, -0.014], [0.704, 3.759, -0.578], [0.878, 2.126, -1.153], [0.959, 3.176, -3.375], [0.531, 4.783, -2.869], [-0.016, 4.501, -5.206], [-1.515, 4.863, -4.353], [-0.805, 3.055, -5.992], [0.192, -0.037, 0.472], [0.402, -1.209, 0.066], [-0.083, 0.908, -0.280], [0.331, 0.194, 1.691], [-2.335, 2.063, 3.223], [-1.901, 1.499, 1.839], [-2.785, 2.072, 0.682], [-4.246, 1.836, 0.902], [-4.580, 0.457, 0.934], [-0.561, 2.034, 1.561], [-2.335, 3.153, 3.210], [-1.678, 1.745, 4.032], [-3.309, 1.627, 3.444], [-1.850, 0.411, 1.792], [-2.590, 1.783, -0.351], [-2.776, 3.162, 0.708], [-4.049, -0.221, 1.602], [-4.427, 0.087, -0.080], [-5.622, 0.312, 1.219], [-0.345, 1.797, 0.603], [0.127, 1.381, 1.909], [2.675, -3.359, -1.414], [1.204, -3.415, -1.207], [0.607, -4.760, -1.643], [0.872, -5.081, -3.028], [-0.040, -4.460, -3.895], [0.828, -3.036, 0.132], [2.760, -3.196, -2.488], [3.118, -4.327, -1.180], [3.123, -2.458, -0.992], [0.744, -2.594, -1.758], [-0.464, -4.793, -1.443], [1.258, -5.327, -0.979], [-1.071, -4.713, -3.646], [0.020, -4.709, -4.954], [0.094, -3.380, -3.843], [0.990, -2.041, 0.197], [-0.175, -3.121, 0.218], [-1.228, -0.888, 3.038], [-0.523, -2.174, 2.530], [-1.657, -3.074, 2.400], [-2.736, -2.625, 3.077], [-3.796, -3.213, 3.155], [-2.527, -1.329, 3.488], [0.289, -2.737, 3.461], [-1.225, -0.219, 2.178], [-0.763, -0.414, 3.902], [0.102, -2.024, 1.650], [2.758, -1.775, 0.698], [1.919, -1.996, 1.922], [2.888, -1.787, 2.925], [4.101, -2.029, 2.455], [5.152, -1.795, 3.033], [4.044, -2.143, 1.142], [1.504, -3.268, 2.023], [2.702, -0.751, 0.327], [2.381, -2.357, -0.142], [1.055, -1.337, 1.993], [0.929, 1.128, 3.726], [2.171, 0.402, 3.354], [2.447, -0.269, 4.571], [1.290, -0.569, 5.163], [1.189, -1.169, 6.168], [0.331, 0.145, 4.575], [3.128, 1.186, 3.069], [0.389, 1.528, 2.867], [1.212, 2.007, 4.305], [1.914, -0.260, 2.527], [0.127, -0.719, -2.420], [1.492, -0.600, -1.993], [1.962, 0.559, -2.712], [1.112, 0.868, -3.680], [1.232, 1.837, -4.491], [0.143, 0.045, -3.638], [2.244, -1.631, -2.325], [-0.526, -0.253, -1.683], [-0.241, -1.745, -2.452], [1.495, -0.428, -0.916], [-2.239, -0.479, -1.003], [-2.151, -1.493, 0.144], [-1.854, -2.757, -0.389], [-1.793, -2.621, -1.767], [-1.498, -3.516, -2.525], [-2.167, -1.358, -2.144], [-3.308, -1.513, 0.767], [-1.367, 0.170, -1.091], [-3.123, 0.144, -1.140], [-1.359, -1.217, 0.841], [1.835, 2.466, 0.346], [2.456, 1.066, 0.481], [3.615, 1.383, 1.275], [3.862, 2.762, 1.180], [4.797, 3.466, 1.608], [2.860, 3.348, 0.730], [2.922, 0.543, -0.697], [1.135, 2.639, 1.163], [1.313, 2.499, -0.610], [1.867, 0.301, 0.987]],